Chinese police are increasingly relying on artificial intelligence as they take the motto “you can run, but you can’t hide” to a whole new level.
In less than two months, police in three cities across the country caught three different suspected criminals at concerts of popular Hong Kong singer Jacky Cheung.
Facial recognition technology identified the men as they passed through security checkpoints, according to state media.
Although the three suspects were all wanted for relatively minor crimes, the string of concert arrests has generated headlines throughout China, prompting the star to address the issue.
“I thank them for attending my concerts,” Cheung told reporters. “But it did give everyone food for thought: If you steal, you’ll get caught no matter where you go.”
Police in Luoyang, a central Chinese city where Cheung plans to hold a concert in July, have tweeted: “Jacky, we are ready!”

High-tech surveillance
Luoyang police are not alone in their enthusiasm. State media has highlighted a growing number of areas – including in some unlikely places – where sophisticated facial recognition is being deployed.
Traffic police in Shenzhen in late April installed dozens of high-tech devices in the southern Chinese metropolis, targeting jaywalkers and scooter-riding couriers who are known to flout traffic rules.
“Wearing helmets or hats? You will still be recognized for sure!” the police warned in a social media post.
“Our facial recognition devices are not affected by weather or skin tones – and our algorithms can detect people even when they turn sideways, lower their heads, partially cover their faces, or in high-brightness, backlit or crowded conditions.”
Just a week after the system’s soft launch, Shenzhen traffic police said they had caught violators in almost 900 cases and planned to expand its use.
Other success stories cited by state media range from local authorities scanning more than 2 million faces at security checkpoints at a beer festival in eastern China and capturing 25 runaway criminals, to railway police wearing facial recognition-capable glasses at hub stations during the busy lunar New Year travel season and catching seven fugitives.
High-tech surveillance isn’t limited to law enforcement in China, either. Last year, the Temple of Heaven park in Beijing found itself in the spotlight when it installed facial recognition in public bathroom to stop people from stealing toilet paper.
**Inserted here: calculated crystals**
1.
Here is an optimized crystal structure of RbTeH from the Alexandria database. Energies are from GGA-PBE.

a b c (Å): 5.273 5.273 8.537
angles (deg): 90.00 90.00 90.00
Space group I4mm (No. 107)
Unique sites:
Rb1 0.000 0.000 0.000 [2 per cell]
Te1 0.000 0.000 0.553 [2 per cell]
H1 0.000 0.000 0.356 [2 per cell]

Summary:
Total magnetization in μB per cell: 0.00
Theoretical density in g cm⁻³: 3.0
DFT total energy in eV/atom: -2.974

2.
Here is an optimized crystal structure of ZrCrN2 from the Alexandria database. Energies are from GGA-PBE.

a b c (Å): 4.654 4.654 9.570
angles (deg): 90.00 90.00 90.00
Space group I-42d (No. 122)
Unique sites:
Zr1 0.000 0.000 0.000 [4 per cell]
Cr1 0.000 0.000 0.500 [4 per cell]
N1 0.213 0.250 0.625 [8 per cell]

Summary:
Total magnetization in μB per cell: 7.63
Theoretical density in g cm⁻³: 5.5
Formation energy from raw total energies in eV/f.u.: -3.36
DFT total energy in eV/atom: -9.546

3.
Here is an optimized crystal structure of Ag4PdAu2 from the Alexandria database. Energies are from GGA-PBE.

a b c (Å): 2.930 21.926 4.075
angles (deg): 90.00 90.00 90.00
Space group Cmmm (No. 65)
Unique sites:
Ag1 0.000 0.064 0.000 [4 per cell]
Ag2 0.000 0.368 0.500 [4 per cell]
Pd1 0.000 0.500 0.500 [2 per cell]
Au1 0.000 0.196 0.000 [4 per cell]

Summary:
Total magnetization in μB per cell: 0.00
Theoretical density in g cm⁻³: 11.8
Relative energy among the computed polymorphs in meV/atom: 0
Calculated formation energy in meV per atom: 19
DFT total energy in eV/atom: -3.288

4.
Here is an optimized crystal structure of Tb3Pm6Nd2Ho from the Alexandria database. Energies are from GGA-PBE.

a b c (Å): 6.279 10.873 11.994
angles (deg): 90.00 100.05 90.00
Space group C2/m (No. 12)
Unique sites:
Tb1 0.000 0.000 0.000 [2 per cell]
Tb2 0.000 0.334 0.000 [4 per cell]
Pm1 0.248 0.500 0.248 [4 per cell]
Pm2 0.250 0.166 0.248 [8 per cell]
Nd1 0.000 0.167 0.500 [4 per cell]
Ho1 0.000 0.500 0.500 [2 per cell]

Summary:
Total magnetization in μB per cell: 0.00
Theoretical density in g cm⁻³: 7.4
Calculated formation energy in meV per atom: 13
DFT total energy in eV/atom: -4.696

5.
Here is an optimized crystal structure of KPN2F from the Alexandria database. Energies are from GGA-PBE.

a b c (Å): 3.398 3.398 5.247
angles (deg): 90.00 90.00 90.00
Space group P4/mmm (No. 123)
Unique sites:
K1 0.000 0.000 0.000 [1 per cell]
P1 0.500 0.500 0.500 [1 per cell]
N1 0.000 0.500 0.500 [2 per cell]
F1 0.500 0.500 0.000 [1 per cell]

Summary:
Total magnetization in μB per cell: 0.46
Theoretical density in g cm⁻³: 3.2
Relative energy among the computed polymorphs in meV/atom: 0
Formation energy from raw total energies in eV/f.u.: -1.73
DFT total energy in eV/atom: -5.352

6.
Here is an optimized crystal structure of Tb2DyMg8 from the Alexandria database. Energies are from GGA-PBE.

a b c (Å): 5.278 7.722 14.234
angles (deg): 90.00 90.00 90.00
Space group Immm (No. 71)
Unique sites:
Tb1 0.000 0.000 0.211 [4 per cell]
Dy1 0.000 0.000 0.500 [2 per cell]
A high school in Hangzhou in eastern China last week unveiled a system that would allow the recording and real-time analysis of students’ facial expressions in classrooms, according to state media. If the system categorizes a student as “non-attentive,” an alert will be sent to the teacher.

Worrying development
Already, the widespread of artificial intelligence-powered surveillance is alarming some people.
A Chinese expression that roughly translates as “it’s extremely scary when you really think about it” is often among the top comments on social media discussions on this issue, echoing a sentiment long expressed by human rights activists.
“As conceived, these systems will lead to enormous national and regional databases containing sensitive information on broad swaths of the population, which can be kept indefinitely and used for unforeseen future purposes,” Human Rights Watch said in a statement earlier this year.
“Such practices will intrude on the privacy of hundreds of millions of people – the vast majority of whom will not be suspected of crime.”
While the authorities have repeatedly assured people of their privacy as the use of facial recognition widens in law enforcement, even the People’s Daily – the ruling Communist Party’s official newspaper – acknowledged rising public concerns in an article last week.
“It’s normal for people to feel nervous,” it said. “Regulations must be enacted and red lines must be drawn – government agencies need to strike a balance between governing and protecting people.”